**Given**
-- begin --
VASP calculation (GGA-PBE) on a geometry-optimized LiPuSb2 structure.

Computed properties:
total DFT energy (no corrections): -6.695 eV per atom
offset from the most stable computed form: 0.00 eV/f.u.
total magnetization: 4.84 μB per formula unit
DOS at the Fermi energy: 24.5 states/eV/cell
formation energy without anion corrections: -0.573 eV per atom
crystal system: tetragonal
V: 195.76 Å³/cell
space-group type: P4/nmm (129)

Cell: 4.320 4.320 10.490 Å, 90.00 90.00 90.00°
Sites, in units of the cell vectors:
Li 0.250 0.750 0.000
Li 0.750 0.250 0.000
Pu 0.250 0.250 0.266
Pu 0.750 0.750 0.734
Sb 0.250 0.250 0.828
Sb 0.250 0.750 0.500
Sb 0.750 0.250 0.500
Sb 0.750 0.750 0.172

* * * * *

P:
## Ba2AgPb3 (GGA-PBE)

Data for a relaxed Ba2AgPb3 crystal.

a b c (Å): 12.3649 5.4186 8.5239
angles (deg): 90.00 133.32 90.00
Closest atoms and distances in Å follow each position.
Fractional positions:
1 Ba 0.0000 0.0000 0.0000  9 Pb 3.68-4.01, 3 Ag 3.72-3.95
2 Ba 0.0959 0.0000 0.5961  9 Pb 3.62-4.04, 3 Ag 3.65-3.74
3 Ba 0.5000 0.5000 0.0000  9 Pb 3.68-4.01, 3 Ag 3.72-3.95
4 Ba 0.5959 0.5000 0.5961  9 Pb 3.62-4.04, 3 Ag 3.65-3.74
5 Ag 0.3736 0.0000 0.1848  4 Pb 2.99-3.10
6 Ag 0.8736 0.5000 0.1848  4 Pb 2.99-3.10
7 Pb 0.1925 0.5000 0.4034  1 Ag 2.99, 3 Pb 3.23-3.33
8 Pb 0.2206 0.5000 0.0421  2 Ag 3.04, 2 Pb 3.27-3.33
9 Pb 0.3857 0.0000 0.5605  1 Ag 3.10, 3 Pb 3.23-3.27
10 Pb 0.6925 0.0000 0.4034  1 Ag 2.99, 3 Pb 3.23-3.33
11 Pb 0.7206 0.0000 0.0421  2 Ag 3.04, 2 Pb 3.27-3.33
12 Pb 0.8857 0.5000 0.5605  1 Ag 3.10, 3 Pb 3.23-3.27

## Properties
Its space-group type is Cm (8). As for the crystal system: monoclinic.

***

Q:
## Ba2AgPb3 (GGA-PBE)

Data for a relaxed Ba2AgPb3 crystal.

a b c (Å): 10.1305 10.0927 7.1255
angles (deg): 69.65 69.09 41.26
Closest atoms and distances in Å follow each position.
Fractional positions:
1 Ba 0.2437 0.7563 0.7563  10 Pb 3.85-3.89, 2 Ag 3.89
2 Ba 0.2500 0.2500 0.2500  8 Pb 3.82, 4 Ag 3.85
3 Ba 0.7500 0.7500 0.7500  8 Pb 3.82, 4 Ag 3.85
4 Ba 0.7563 0.2437 0.2437  10 Pb 3.85-3.89, 2 Ag 3.89
5 Ag 0.3328 0.3328 0.6672  3 Pb 2.83
6 Ag 0.6672 0.6672 0.3328  3 Pb 2.83
7 Pb 0.1716 0.1716 0.8284  1 Ag 2.83, 2 Pb 3.04
8 Pb 0.1738 0.6548 0.3452  1 Ag 2.83, 2 Pb 3.01-3.04
9 Pb 0.3452 0.8262 0.1738  1 Ag 2.83, 2 Pb 3.01-3.04
10 Pb 0.6548 0.1738 0.8262  1 Ag 2.83, 2 Pb 3.01-3.04
11 Pb 0.8262 0.3452 0.6548  1 Ag 2.83, 2 Pb 3.01-3.04
12 Pb 0.8284 0.8284 0.1716  1 Ag 2.83, 2 Pb 3.04

## Properties
Its space-group type is Fmmm (69). As for the crystal system: orthorhombic.

***

Which of them is least stable? Easy: Q.

***

P:
## BaAg2Pd (GGA-PBE)

Data for a relaxed BaAg2Pd crystal.

a b c (Å): 7.3617 7.3617 7.3617
angles (deg): 90.00 90.00 90.00
Closest atoms and distances in Å follow each position.
Fractional positions:
1 Ba 0.0000 0.0000 0.0000  8 Ag 3.19
2 Ba 0.0000 0.5000 0.5000  8 Ag 3.19
3 Ba 0.5000 0.0000 0.5000  8 Ag 3.19
4 Ba 0.5000 0.5000 0.0000  8 Ag 3.19
5 Ag 0.2500 0.2500 0.2500  4 Ba 3.19, 4 Pd 3.19
6 Ag 0.2500 0.2500 0.7500  4 Ba 3.19, 4 Pd 3.19
7 Ag 0.2500 0.7500 0.2500  4 Ba 3.19, 4 Pd 3.19
8 Ag 0.2500 0.7500 0.7500  4 Ba 3.19, 4 Pd 3.19
9 Ag 0.7500 0.2500 0.2500  4 Ba 3.19, 4 Pd 3.19
10 Ag 0.7500 0.2500 0.7500  4 Ba 3.19, 4 Pd 3.19
11 Ag 0.7500 0.7500 0.2500  4 Ba 3.19, 4 Pd 3.19
12 Ag 0.7500 0.7500 0.7500  4 Ba 3.19, 4 Pd 3.19
13 Pd 0.0000 0.0000 0.5000  8 Ag 3.19
14 Pd 0.0000 0.5000 0.0000  8 Ag 3.19
15 Pd 0.5000 0.0000 0.0000  8 Ag 3.19
16 Pd 0.5000 0.5000 0.5000  8 Ag 3.19

## Properties
Its space-group type is Fm-3m (225). As for the crystal system: cubic.

***

Q:
## BaAg2Pd (GGA-PBE)

Data for a relaxed BaAg2Pd crystal.

a b c (Å): 4.5917 11.1391 7.9882
angles (deg): 90.00 90.00 90.00
Closest atoms and distances in Å follow each position.
Fractional positions:
1 Ba 0.0000 0.0590 0.2500  3 Pd 3.13-3.35, 2 Ag 3.41
2 Ba 0.0000 0.9410 0.7500  3 Pd 3.13-3.35, 2 Ag 3.41
3 Ba 0.5000 0.4410 0.7500  3 Pd 3.13-3.35, 2 Ag 3.41
4 Ba 0.5000 0.5590 0.2500  3 Pd 3.13-3.35, 2 Ag 3.41
-- stop --

**Job**
It remains to transcribe only the last part of the contents above, starting with the line that has "Cell: 4.320".

**Done**
Cell: 4.320 4.320 10.490 Å, 90.00 90.00 90.00°
Sites, in units of the cell vectors:
Li 0.250 0.750 0.000
Li 0.750 0.250 0.000
Pu 0.250 0.250 0.266
Pu 0.750 0.750 0.734
Sb 0.250 0.250 0.828
Sb 0.250 0.750 0.500
Sb 0.750 0.250 0.500
Sb 0.750 0.750 0.172

* * * * *

P:
## Ba2AgPb3 (GGA-PBE)

Data for a relaxed Ba2AgPb3 crystal.

a b c (Å): 12.3649 5.4186 8.5239
angles (deg): 90.00 133.32 90.00
Closest atoms and distances in Å follow each position.
Fractional positions:
1 Ba 0.0000 0.0000 0.0000  9 Pb 3.68-4.01, 3 Ag 3.72-3.95
2 Ba 0.0959 0.0000 0.5961  9 Pb 3.62-4.04, 3 Ag 3.65-3.74
3 Ba 0.5000 0.5000 0.0000  9 Pb 3.68-4.01, 3 Ag 3.72-3.95
4 Ba 0.5959 0.5000 0.5961  9 Pb 3.62-4.04, 3 Ag 3.65-3.74
5 Ag 0.3736 0.0000 0.1848  4 Pb 2.99-3.10
6 Ag 0.8736 0.5000 0.1848  4 Pb 2.99-3.10
7 Pb 0.1925 0.5000 0.4034  1 Ag 2.99, 3 Pb 3.23-3.33
8 Pb 0.2206 0.5000 0.0421  2 Ag 3.04, 2 Pb 3.27-3.33
9 Pb 0.3857 0.0000 0.5605  1 Ag 3.10, 3 Pb 3.23-3.27
10 Pb 0.6925 0.0000 0.4034  1 Ag 2.99, 3 Pb 3.23-3.33
11 Pb 0.7206 0.0000 0.0421  2 Ag 3.04, 2 Pb 3.27-3.33
12 Pb 0.8857 0.5000 0.5605  1 Ag 3.10, 3 Pb 3.23-3.27

## Properties
Its space-group type is Cm (8). As for the crystal system: monoclinic.

***

Q:
## Ba2AgPb3 (GGA-PBE)

Data for a relaxed Ba2AgPb3 crystal.

a b c (Å): 10.1305 10.0927 7.1255
angles (deg): 69.65 69.09 41.26
Closest atoms and distances in Å follow each position.
Fractional positions:
1 Ba 0.2437 0.7563 0.7563  10 Pb 3.85-3.89, 2 Ag 3.89
2 Ba 0.2500 0.2500 0.2500  8 Pb 3.82, 4 Ag 3.85
3 Ba 0.7500 0.7500 0.7500  8 Pb 3.82, 4 Ag 3.85
4 Ba 0.7563 0.2437 0.2437  10 Pb 3.85-3.89, 2 Ag 3.89
5 Ag 0.3328 0.3328 0.6672  3 Pb 2.83
6 Ag 0.6672 0.6672 0.3328  3 Pb 2.83
7 Pb 0.1716 0.1716 0.8284  1 Ag 2.83, 2 Pb 3.04
8 Pb 0.1738 0.6548 0.3452  1 Ag 2.83, 2 Pb 3.01-3.04
9 Pb 0.3452 0.8262 0.1738  1 Ag 2.83, 2 Pb 3.01-3.04
10 Pb 0.6548 0.1738 0.8262  1 Ag 2.83, 2 Pb 3.01-3.04
11 Pb 0.8262 0.3452 0.6548  1 Ag 2.83, 2 Pb 3.01-3.04
12 Pb 0.8284 0.8284 0.1716  1 Ag 2.83, 2 Pb 3.04

## Properties
Its space-group type is Fmmm (69). As for the crystal system: orthorhombic.

***

Which of them is least stable? Easy: Q.

***

P:
## BaAg2Pd (GGA-PBE)

Data for a relaxed BaAg2Pd crystal.

a b c (Å): 7.3617 7.3617 7.3617
angles (deg): 90.00 90.00 90.00
Closest atoms and distances in Å follow each position.
Fractional positions:
1 Ba 0.0000 0.0000 0.0000  8 Ag 3.19
2 Ba 0.0000 0.5000 0.5000  8 Ag 3.19
3 Ba 0.5000 0.0000 0.5000  8 Ag 3.19
4 Ba 0.5000 0.5000 0.0000  8 Ag 3.19
5 Ag 0.2500 0.2500 0.2500  4 Ba 3.19, 4 Pd 3.19
6 Ag 0.2500 0.2500 0.7500  4 Ba 3.19, 4 Pd 3.19
7 Ag 0.2500 0.7500 0.2500  4 Ba 3.19, 4 Pd 3.19
8 Ag 0.2500 0.7500 0.7500  4 Ba 3.19, 4 Pd 3.19
9 Ag 0.7500 0.2500 0.2500  4 Ba 3.19, 4 Pd 3.19
10 Ag 0.7500 0.2500 0.7500  4 Ba 3.19, 4 Pd 3.19
11 Ag 0.7500 0.7500 0.2500  4 Ba 3.19, 4 Pd 3.19
12 Ag 0.7500 0.7500 0.7500  4 Ba 3.19, 4 Pd 3.19
13 Pd 0.0000 0.0000 0.5000  8 Ag 3.19
14 Pd 0.0000 0.5000 0.0000  8 Ag 3.19
15 Pd 0.5000 0.0000 0.0000  8 Ag 3.19
16 Pd 0.5000 0.5000 0.5000  8 Ag 3.19

## Properties
Its space-group type is Fm-3m (225). As for the crystal system: cubic.

***

Q:
## BaAg2Pd (GGA-PBE)

Data for a relaxed BaAg2Pd crystal.

a b c (Å): 4.5917 11.1391 7.9882
angles (deg): 90.00 90.00 90.00
Closest atoms and distances in Å follow each position.
Fractional positions:
1 Ba 0.0000 0.0590 0.2500  3 Pd 3.13-3.35, 2 Ag 3.41
2 Ba 0.0000 0.9410 0.7500  3 Pd 3.13-3.35, 2 Ag 3.41
3 Ba 0.5000 0.4410 0.7500  3 Pd 3.13-3.35, 2 Ag 3.41
4 Ba 0.5000 0.5590 0.2500  3 Pd 3.13-3.35, 2 Ag 3.41